All You Need to Know About Sprouting + 3 Awesome Recipes

All You Need to Know About Sprouting + 3 Awesome Recipes

Sprouts are vibrant, delicious, inexpensive, full of prana, and totally cute. What's not to love about this high-nutrition food? You can purchase a bag of sprouts at the grocery store or farmers market at a highly marked-up price, or you can simply grow them at home.

Sprouting at home guarantees freshness and decreases cost. While a bag of organic sprouts may cost up to $6, a large jar of mung bean sprouts you made yourself ranges in the $0.90 range, costing about $0.15 per cup. Witnessing nature's intelligence up close as they grow is incredibly humbling and inspiring, and sprouting can be an entertaining project for kiddos at home.

What Are Sprouts?

Grains and legumes like mung beans and lentils are actually the seeds of their respective plants. A seed contains its own life support system—everything it needs nutritionally to grow into a plant.

Sprouting is the activation of those nutrients, awakening the seed into life.

As part of a wholesome diet, mung beans are chockfull of protein, vitamins C, K, and A, omega-3 and 6 fatty acids, starches, and more.3 They also contain complex acids and sugars that help the seed survive the digestive tract of animals and humans, known as anti-nutrients.

Phytic acid is a known anti-nutrient, a natural compound that inhibits the absorption of some vitamins and minerals.1,4 While anti-nutrients are not inherently harmful, those with weaker digestion (agni) may notice their impact. They can cause gas, bloating, and may even cause the food to leave the digestive tract intact (check your stool!).

The development of antinutrients is actually a survival mechanism of a plant to ensure their offspring (seeds) can survive and grow where they land.4 The inherent intelligence of plants never ceases to amaze.

There are a few methods that help break down anti-nutrients which are present in legumes, grains, and some vegetables. These include cooking, soaking, fermentation, and sprouting. While soaking is beneficial for removing these hard to digest enzymes for most seeds, the process of sprouting actually converts them, allowing more of the nutrients to be available. In short, they become more digestible.2

When you think about this from an Ayurvedic perspective, the energy of the potential seed is coming into life—it is full of prana.

Prana-rich foods are considered sattvic, which means they are light and clear. These qualities, when present in foods, are considered easier to digest.

Once sprouted, the mung beans can also be astringent and slightly bitter, which makes them drying and cool. They are the best for reducing pitta and kapha in the body, and may aggravate vata, especially if they are not cooked.


How to Make Sprouts

You can use the steps in this video to sprout lentils, broccoli seeds, and some beans, depending on freshness, as well as whole grains like wheat berries, unhulled barley, buckwheat, corn, farro, kamut, millet, quinoa, and brown rice. They must contain the germ and bran in addition to the endosperm to be sprout-able.


  • Take ¼—⅓ cup dried green mung beans, rinse well, and place in a mason jar (or sprouting vessel of choice). 
  • Add 1½ cups water and soak overnight, then drain and rinse. 
  • Place under a towel and store in a cool, dark place for 2–5 days, rinsing and draining gently twice daily. 
  • Once you have your jar of sprouts, rinse them and dry them well using a salad spinner.

Then store them in an airtight container with a small towel or paper towel to absorb excess moisture. They can keep in the refrigerator for up to two weeks, but it's best to consume them within a week.

3 Nourishing Sprout Recipes

Sprouts lend themselves to an endless variety of tasty possibilities! You can absolutely eat them raw in a salad in the summer, which can be especially balancing for pitta. However, very lightly cooking them makes them more suitable to consume year-round and makes them more compatible for vata.

Here are three recipes to begin to incorporate sprouts into your Ayurvedic diet, and we encourage you to play with adding them to your own favorite recipes as well!


Zesty veggie tacos with sprouts

Zesty Veggie Tacos with Sprouts

Serves 1–2

Best for pitta


  • 1–3 tortillas of your choice
  • ¼ onion or 2 green onion stalks, finely chopped (green onion is more balancing if you're really fiery)
  • 1 whole carrot, sliced into ¼ inch pieces
  • ¼ cup cauliflower, cut into halved florets
  • 1 cup sprouted mung beans
  • ½ –1 tablespoon coconut oil or ghee
  • ½ teaspoon ground cumin
  • ½ teaspoon coriander powder
  • Salt to taste
  • Handful chopped cilantro
  • Limes to taste

### These data records were left in the text by mistake
+++
No. 1
Computed, not measured: an optimized crystal structure of YZrOs at the PBE-GGA level of DFT.

For the mass density, the calculation gives 8.9 g/cm3. For the total moment, the calculation gives 0.00 μB/atom. For the energy, the calculation gives -108.45 eV per cell. The calculation puts the polymorph energy (0 for the lowest one) at 0 kJ/mol of formula units. As for the space-group type: C2/m, No. 12. The calculation puts the formation energy at -0.9 eV per formula unit. The density of states at the Fermi level is 10.12 states/eV/cell.

a = 7.536 Å, b = 4.115 Å, c = 11.096 Å
α = 90.00°, β = 126.18°, γ = 90.00°
Sites, in units of the cell vectors:
Os  0.182  0.000  0.643
Os  0.818  0.500  0.857
Os  0.182  0.500  0.143
Os  0.818  0.000  0.357
Zr  0.418  0.000  0.316
Zr  0.418  0.500  0.816
Zr  0.582  0.500  0.184
Zr  0.582  0.000  0.684
Y  0.157  0.500  0.421
Y  0.843  0.500  0.579
Y  0.843  0.000  0.079
Y  0.157  0.000  0.921

---

No. 2
Computed, not measured: an optimized crystal structure of Ce3CoSi at the PBE-GGA level of DFT.

For the mass density, the calculation gives 7.7 g/cm3. For the total moment, the calculation gives 0.00 μB/atom. For the energy, the calculation gives -63.75 eV per cell. The raw formation energy comes out at -0.309 eV/atom. As for the space-group type: P-1, No. 2. The density of states at the Fermi level is 18.92 states/eV/cell.

a = 3.719 Å, b = 4.760 Å, c = 13.324 Å
α = 90.99°, β = 68.00°, γ = 88.90°
Sites, in units of the cell vectors:
Si  0.413  0.242  0.330
Si  0.587  0.758  0.670
Co  0.777  0.676  0.083
Co  0.223  0.324  0.917
Ce  0.536  0.226  0.089
Ce  0.638  0.251  0.530
Ce  0.464  0.774  0.911
Ce  0.362  0.749  0.470
Ce  0.014  0.264  0.735
Ce  0.986  0.736  0.265

---

No. 3
Computed, not measured: an optimized crystal structure of LaTiOF2 at the PBE-GGA level of DFT.

For the mass density, the calculation gives 5.6 g/cm3. For the total moment, the calculation gives 0.55 μB/atom. For the energy, the calculation gives -34.38 eV per cell. The raw formation energy comes out at -2.571 eV/atom. The calculation puts the polymorph energy (0 for the lowest one) at 0 kJ/mol of formula units. As for the space-group type: P4/mmm, No. 123. The density of states at the Fermi level is 3.70 states/eV/cell.

a = 4.199 Å, b = 4.199 Å, c = 4.042 Å
α = 90.00°, β = 90.00°, γ = 90.00°
Site moments in Bohr magnetons follow the coordinates.
Sites, in units of the cell vectors:
F  0.500  0.000  0.000  0.04
F  0.000  0.500  0.000  0.04
La  0.500  0.500  0.500  0.59
O  0.000  0.000  0.500  -0.06
Ti  0.000  0.000  0.000  1.51

---

No. 4
Computed, not measured: an optimized crystal structure of Ca2InSbF at the PBE-GGA level of DFT.
+++

Optional Additions:

  • Add ¼ teaspoon smoked paprika if you have a bit more kapha in your constitution
  • Cashew cream or cilantro cream sauce if you have more vata in your constitution


On medium-low heat, add the coconut oil or ghee to a pan and add the onion. Sweat the onions with a pinch of salt until slightly translucent—be sure not to let them burn! When they are close to translucent, add the ground cumin seed and coriander, and when the aroma lifts, add 2–3 tablespoons of water to deglaze the pan.

When most of the water has evaporated, add the carrots, cauliflower, and a sprinkle of salt.

Toss to combine, then let sit. When there is slight caramelization, toss again, shaking the pan to help the vegetables settle. Meanwhile, lightly toast or warm your tortillas to your liking.

When the vegetables are al dente, or almost slide off a fork when inserted, deglaze with 1–2 tablespoons of water again. When the water cooks off, add a squeeze of lime juice. Lastly, add a big handful of sprouts to the pan, and toss for 2–3 minutes.

To assemble your tacos, lay out your tortillas and add the vegetables, with more fresh sprouts on top. Sprinkle with cilantro and lime juice and enjoy!


Creamy cauliflower rutabaga soup with sprouts

Creamy Cauliflower Rutabaga Soup with Sprouts

Serves 2

Best for kapha


  • 1 cup cauliflower florets
  • 1 cup rutabaga, cubed in 1-inch pieces
  • ½ cup sprouted mung beans
  • 3 cups vegetable stock
  • ¼ teaspoon ginger powder
  • ½ teaspoon brown mustard seeds
  • Salt to taste
  • 2 teaspoons ghee or olive oil
  • Fresh dill to top
  • Enrich with almond milk or cream (optional) 


In a steamer basket, steam the cauliflower and rutabaga until tender, making sure to not overcrowd the basket.

In a medium saucepan, warm the oil and temper the mustard seeds until they pop. Add the salt and dried ginger, then add the vegetable stock. (You can also add parsley and dill to the vegetable stock for an extra flavor infusion if you'd like). Bring the stock to a simmer, then let cool slightly before moving onto the next step. Reserve one cup on the side for blending.

Using a blender or immersion blender, combine half of the steamed vegetables and half of the stock. If you prefer a more rustic texture, blend lightly. Otherwise blend until smooth. Add some of the mixture back to the saucepan, and then blend some of that mixture with the remainder of the vegetables, using the reserved stock as needed. Once you have your desired consistency, season with salt to taste and return to a simmer.

Lastly, steam the sprouted mung beans for 2–3 minutes.

Serve your soup in a wide bowl, topping with a drizzle of ghee, fresh dill, and steamed, sprouted mung beans.


Hearty grains sauté bowl with sprouts

## The text is interrupted by calculated crystals
┌──
Computed, not measured: a geometry-optimized AlGaHgBi structure at the GGA-PBE level of DFT.

Geometry as CIF:
```
data_AlGaHgBi
_chemical_formula_sum 'Al4 Ga4 Hg4 Bi4'
_cell_length_a 7.313
_cell_length_b 7.313
_cell_length_c 7.313
_cell_angle_alpha 90.00
_cell_angle_beta 90.00
_cell_angle_gamma 90.00
_space_group_name_H-M_alt 'F -4 3 m'
_space_group_IT_number 216
_space_group_name_Hall 'F -4 2 3'
loop_
_atom_site_label
_atom_site_type_symbol
_atom_site_fract_x
_atom_site_fract_y
_atom_site_fract_z
_atom_site_occupancy
Al1 Al 0.000 0.000 0.000 1
Ga1 Ga 0.000 0.000 0.500 1
Hg1 Hg 0.250 0.250 0.750 1
Bi1 Bi 0.250 0.250 0.250 1
```

* ΔH_f (0 K): 147 meV/atom
* calculated density: 8.60 Mg/m³
* N(E_F): 5.32 states/eV/cell

=====

Computed, not measured: a geometry-optimized MgAlGaBi structure at the GGA-PBE level of DFT.

Geometry as CIF:
```
data_MgAlGaBi
_chemical_formula_sum 'Mg4 Al4 Ga4 Bi4'
_cell_length_a 7.175
_cell_length_b 7.175
_cell_length_c 7.175
_cell_angle_alpha 90.00
_cell_angle_beta 90.00
_cell_angle_gamma 90.00
_space_group_name_H-M_alt 'F -4 3 m'
_space_group_IT_number 216
_space_group_name_Hall 'F -4 2 3'
loop_
_atom_site_label
_atom_site_type_symbol
_atom_site_fract_x
_atom_site_fract_y
_atom_site_fract_z
_atom_site_occupancy
Mg1 Mg 0.000 0.000 0.000 1
Al1 Al 0.000 0.000 0.500 1
Ga1 Ga 0.250 0.250 0.750 1
Bi1 Bi 0.250 0.250 0.250 1
```

* ΔH_f (0 K): 87 meV/atom
* calculated density: 5.93 Mg/m³
* N(E_F): 7.14 states/eV/cell

=====

Computed, not measured: a geometry-optimized MgAlGa2Bi structure at the GGA-PBE level of DFT.

Geometry as CIF:
```
data_MgAlGa2Bi
_chemical_formula_sum 'Mg1 Al1 Ga2 Bi1'
_cell_length_a 5.537
_cell_length_b 5.537
_cell_length_c 5.582
_cell_angle_alpha 90.00
_cell_angle_beta 90.00
_cell_angle_gamma 90.00
_space_group_name_H-M_alt 'P 4/m m m'
_space_group_IT_number 123
_space_group_name_Hall '-P 4 2'
loop_
_atom_site_label
_atom_site_type_symbol
_atom_site_fract_x
_atom_site_fract_y
_atom_site_fract_z
_atom_site_occupancy
Mg1 Mg 0.000 0.000 0.000 1
Al1 Al 0.500 0.500 0.000 1
Ga1 Ga 0.000 0.500 0.500 1
Bi1 Bi 0.500 0.500 0.500 1
└──
## End of the calculated crystals

Hearty Grains Sauté Bowl with Sprouts

Serves 1-2

Best for vata



  • ¾ cup brown or basmati rice, or a mix of the two
  • 2 cups vegetable broth or water
  • 3 slices fresh ginger
  • 1 teaspoon cumin seed
  • 1 tablespoon ghee

Homemade Ginger-Tahini sauce:

  • 4 tablespoons tahini
  • 1 teaspoon ginger powder
  • 1 teaspoon salt
  • ¼ cup apple cider vinegar or lemon juice
  • 2 tablespoons olive oil
  • 1 teaspoon maple syrup


  • ½ sweet potato, cut into chunks
  • Handful of chopped greens, such as chard or kale
  • Chopped green onion
  • Sprouted mung beans


To make the rice, dry toast the cumin seeds then add the brown rice and toast for 2–3 minutes.

Add the broth or water and bring to a boil, then cover and simmer for 15–20 minutes. If you are using a mix of brown and basmati rice,  add the basmati rice and the ginger slices, along with ¼ cup more liquid if needed, then simmer and keep covered until cooked. Let sit for 10–15 minutes, then fluff and set aside.

To prepare your toppings, steam the sweet potato first for about 10–15 minutes. When almost entirely cooked, add the chopped greens and mung beans. Watch your hands, the steam will be very hot! Continue to steam for an additional 5–7 minutes.

Make the ginger-tahini sauce by mixing all ingredients together and blending well.

To serve, spoon rice into your bowl, adding more ghee and salt if desired. Add the steamed vegetables and mung beans, then drizzle generously with the ginger-tahini sauce. 

About the Author

Kendra Brown

Kendra Brown

Kendra is an Ayurvedic Chef and lifestyle teacher. She has studied with Myra Lewin of Hale Pule, Dr. Claudia Welch, Dr. Robert Svoboda, John Immel of Joyful Belly, and Hawthorn Institute. She is most passionate about inspiring others to cultivate a balanced life through Ayurvedic diet and practices. Ayurveda entered her life in 2013 through her personal studies of herbalism, meditation, and yoga. She joined Banyan Botanicals in 2019, and in her free time she loves growing vegetables and herbs, hiking with her dog, and developing wholesome recipes.



1 Arnarson, Atli. “How to Reduce Antinutrients in Foods.” Healthline, June 4, 2017.

2 Kataria, Anita, B.M. Chauhan, and Darshan Punia. “Antinutrients and Protein Digestibility (in Vitro) of Mungbean as Affected by Domestic Processing and Cooking.” Food Chemistry. Elsevier, October 2, 2003.

3 “Mung Beans, Mature Seeds, Sprouted, Raw Nutrition Facts & Calories.” Nutrition Data know what you eat. Accessed April 19, 2021.

4 Hite, Kelsey. “Antinutrients—Should I Be Concerned?” Hite Nutrition. Hite Nutrition, August 1, 2017.